Posts Tagged: "hillary clinton"

Patent Trolls, Superpredators and Deplorables: The Ramifications of Political Bullying

This damaging narrative, which portrays inventors in an incredibly disrespectful way, has been allowed to infect the highest levels of our nation’s government… Aside from the specific classes being targeted by these different monikers, it would seem that the use of the term “patent troll” is not much different than the use of the terms “superpredators” or “deplorables.” Each of them is a gross over-generalization of groups of people that have turned out to be incredibly demeaning and evidence a great misunderstanding of certain political realities. Many Americans are right to be outraged over the long-term effects of harsh law enforcement policies on underprivileged communities. Will they show any similar outrage over the steep decline of the U.S. patent system and our nation’s innovation economy directly attributable to the use of the “patent troll” narrative?

Clinton tech agenda supports STEM education, infrastructure upgrades for Internet access

Clinton’s tech agenda revolves around five main points that she hopes will lead to American dominance in research and development as well as overall innovation. First, she’s pledged to devote resources to educational innovations that will position U.S. workers well for the well-paying tech jobs of today and the near future. Second, she’s pushing for major infrastructure upgrades that she argues will bring broadband Internet access to a much wider audience. Her third point focuses on protecting American tech export interests to countries abroad. Her fourth agenda point discusses a framework by which concepts of the open Internet as well as personal privacy can be balanced. Finally, her fifth point hones in on the ways that technology can make government agencies more efficient and effective.

Hillary Clinton supports patent reform, announces technology and innovation initiative

Clinton’s proposal for accomplishing this goal would be twofold: (1) to reduce excessive patent litigation through additional patent reform; and (2) strengthening the operational capacity of the USPTO by allowing the USPTO to keep and spend all the fees it collects. “You are looking at a 14-page detailed document. There is a lot of thought put behind this agenda,” explained Todd Dickinson, former Director of the United States Patent and Trademark Office under President Bill Clinton who was reached by telephone for comment. Not surprisingly, Dickinson has has been an advisor to the campaign regarding intellectual property matters. “Other campaigns will be hard pressed to match the depth and thoughtfulness of these proposals.”

What the 2016 presidential candidates are saying about H-1B visas

On the Republican side, front-runner Donald Trump, whose inability to be stopped by his own rhetoric has proven to be a hallmark of his campaign, has said himself that he is “changing” on this issue, at least where skilled talent is concerned. Trump has been on both sides of the H-1B visa issue, which makes it difficult to know what he really believes and what policy might become during a Trump Administration.

Fact Checking Bogus ‘Patent Report Card’ Grade for Senator Cruz

Simply stated, Senator Ted Cruz (R-TX) did not deserve the F foisted on him by the Engine study or amplified by the reporting by Wired and Ars Technica. Notwithstanding the inexplicable F given to Senator Cruz, the biggest error in the “report card” related to something that never happened. Senator Marco Rubio was given a B based on his vote in favor of the America Invents Act (AIA). The problem is that Senator Rubio missed that vote on the AIA and is also on record saying that had he been present he would have voted against the AIA. Indeed, there are many other inaccuracies and misleading statements that collectively left us wondering if the scoring of this “report card” intentionally misleads the public and reinforces the stereotype that the tech community only likes Democrats.

Disruption of the Democratic Campaign Machines: Does a New Machine Mean Changes for Patent Policy?

Does the Democratic Presidential contest suggest that voters think that traditional views on patents or copyrights are on the way out and that collectivism is on the rise? The so-called “Napster generation” is now definitely 30 something and kissing 40. Millennials and how they are using the Internet for work, life and politics may show us a shift in compensation for creativity that is rewarding inclusiveness, building a community and a base of customers. This contrasts with the more traditional top down, broadcast marketing coupled with enforcement of longer term royalties. Silicon Valley and Wall Street at least have embraced the former, it seems, given how much people love to value unicorns these days. But in the past as unicorns grew up the market would demand adherence to traditional top down norms – think Twitter, for example, which had few patents of their own until they purchased 900 patents from IBM shortly after going public.

Hillary Clinton agrees patents be suspended until corporations pay their taxes

Last week in Iowa Hillary Clinton promised to use patents owned by giant technology companies as leverage to get them to pay higher taxes. If you listen to the actual exchange between Clinton and a supporter Clinton agreed that patents should be suspended until companies repatriate foreign profits held in offshore accounts. A rule that tied paying taxes, or repatriation of foreign profits to the United States, to obtaining a patent would almost certainly create an extraordinary disincentive to seek a patent in the United States, which itself would lead to a nearly unimaginable parade of horribles at a time that the U.S. economy is nearly wholly reliant on innovation and technology.

Patents, Innovation and the Presidential Candidates

........
Structure and simulated powder diffractogram of Pr4Ga12Ru (a crystal structure in Alexandria, relaxed with PBE; copper Kα).
Kinematic intensities with the Lorentz-polarization factor, no thermal factor.

Cell and atoms:
abc: 7.651 7.651 7.651
angles: 109.47 109.47 109.47
Sites, in units of the cell vectors:
Pr: 0.000 0.000 0.500
Pr: 0.000 0.500 0.000
Pr: 0.500 0.000 0.000
Pr: 0.500 0.500 0.500
Ga: 0.000 0.289 0.289
Ga: 0.000 0.711 0.711
Ga: 0.250 0.500 0.750
Ga: 0.250 0.750 0.500
Ga: 0.289 0.000 0.289
Ga: 0.289 0.289 0.000
Ga: 0.500 0.250 0.750
Ga: 0.500 0.750 0.250
Ga: 0.711 0.000 0.711
Ga: 0.711 0.711 0.000
Ga: 0.750 0.250 0.500
Ga: 0.750 0.500 0.250
Ru: 0.000 0.000 0.000

Peak list (12 most intense, 10° ≤ 2θ ≤ 80°, low angle first)
d_spacing, 2θ/deg, Rel. int.
3.124, 28.58, 26
2.794, 32.04, 6
2.550, 35.19, 100
2.361, 38.11, 10
2.209, 40.86, 65
1.884, 48.32, 7
1.803, 50.61, 8
1.562, 59.16, 39
1.397, 66.99, 7
1.332, 70.73, 31
1.275, 74.39, 12
1.202, 79.76, 5

* * * * *

# 1
Diffraction record for V3Fe2SbP6O24. The X-ray diffraction stick pattern is simulated, not measured: it uses the GGA+U geometry in the Materials Project and Cu Ka.
Kinematic intensities with the Lorentz-polarization factor, no thermal factor.

Principal peaks in the range 10° ≤ 2θ ≤ 90°, by intensity:
2θ (°)	intensity
24.03	100
20.38	99
32.75	72
35.68	42
46.95	35
55.82	31
49.21	27
62.25	21
20.56	19
31.64	18

Crystal structure
```
data_V3Fe2SbP6O24
_chemical_formula_sum 'V3 Fe2 Sb1 P6 O24'
_symmetry_space_group_name_H-M 'P 1'
_symmetry_Int_Tables_number 1
_symmetry_space_group_name_Hall 'P 1'
_cell_length_a 8.6402
_cell_length_b 8.6402
_cell_length_c 8.6402
_cell_angle_alpha 60.59
_cell_angle_beta 60.59
_cell_angle_gamma 60.59
loop_
_atom_site_label
_atom_site_type_symbol
_atom_site_fract_x
_atom_site_fract_y
_atom_site_fract_z
V1 V 0.0000 0.0000 0.0000
V2 V 0.2141 0.2141 0.2141
V3 V 0.4983 0.4983 0.4983
Fe1 Fe 0.3566 0.3566 0.3566
Fe2 Fe 0.8621 0.8621 0.8621
Sb1 Sb 0.7144 0.7144 0.7144
P1 P 0.1091 0.8136 0.3965
P2 P 0.3121 0.6039 0.9010
P3 P 0.3965 0.1091 0.8136
P4 P 0.6039 0.9010 0.3121
P5 P 0.8136 0.3965 0.1091
P6 P 0.9010 0.3121 0.6039
O1 O 0.0407 0.8512 0.2461
O2 O 0.0957 0.3002 0.4471
O3 O 0.1200 0.7664 0.9157
O4 O 0.1652 0.9693 0.3665
O5 O 0.2461 0.0407 0.8512
O6 O 0.2629 0.6162 0.4197
O7 O 0.3002 0.4471 0.0957
O8 O 0.3569 0.5436 0.7427
O9 O 0.3665 0.1652 0.9693
O10 O 0.4197 0.2629 0.6162
O11 O 0.4471 0.0957 0.3002
O12 O 0.4714 0.6693 0.8670
O13 O 0.5436 0.7427 0.3569
O14 O 0.5991 0.9414 0.7989
O15 O 0.6162 0.4197 0.2629
O16 O 0.6693 0.8670 0.4714
O17 O 0.7427 0.3569 0.5436
O18 O 0.7664 0.9157 0.1200
O19 O 0.7989 0.5991 0.9414
O20 O 0.8512 0.2461 0.0407
O21 O 0.8670 0.4714 0.6693
O22 O 0.9157 0.1200 0.7664
O23 O 0.9414 0.7989 0.5991
O24 O 0.9693 0.3665 0.1652
```

=====

# 2
Diffraction record for NiTeO4. The X-ray diffraction stick pattern is simulated, not measured: it uses the GGA+U geometry in the Materials Project and Cu Ka.
........

Patents, intellectual property, innovation and technology policy may not decide who will become the next President of the United States, but the positions the candidates hold will greatly impact the industry, and a U.S. economy that is increasingly an innovation based digital economy.

Pharmaceutical greed makes Martin Shkreli public enemy #1

On August 10th, the rights to sell Daraprim were bought from Impax Laboratories Inc. (NASDAQ:IPXL) of Hayward, CA, by Turing Pharmaceuticals, a privately held company with headquarters in New York City and Switzerland. Shortly after acquiring Daraprim, Turing CEO Martin Shkreli raised its price by more than 5,000 percent, from $13.50 per pill up to $750 per pill for a medication that’s not usually prescribed by itself; it’s typically part of a larger regimen for AIDS and cancer patients. As the result of public outcry, Shkreli announced several days ago that the price would drop from $750 a pill to some unspecified level. He pointed out that at $13.50 a pill the drug was not profitable to sell. Still, the damage has been done to an industry everyone loves to hate because drug prices in the U.S. are perceived to be outrageously high already.

Reich’s Reality Doesn’t Have to Be True with Help from Commerce

In a Wall Street Journal op-ed piece Robert Reich, former Secretary of Labor under President Clinton, painted a bleak picture of the future of the US economy over the next decade. The reality he paints is altogether true, unfortunate and extremely unnecessary. He concludes that “those who have lost their jobs to foreign outsourcing or labor-replacing technologies are unlikely ever to get them back. And they have little hope of finding new jobs that pay as well.” This may be true, but I know that it doesn’t have to be that way. The outsourcing of jobs is largely in violation of US export laws and that seems to me to demonstrate the reckless disregard for the American worker rampant in Washington, DC. The US government is not doing anything to enforce US export laws on the books and stop outsourcing that is in violation of US law.

Congress Urges Strong IP Stance in UN Climate Change Talks

As first reported by Bartholomew Sullivan of The Commercial Appeal, last week, on October 22, 2009, thirty-four members of Congress wrote a letter to Secretary of State Hillary Clinton urging her to steadfastly support strong intellectual property rights and not to given in to international demands that would weaken intellectual property rights, particularly patent rights. The concern expressed by these…